**Given:**
~~~
Computed, not measured: crystalline NaMnCl3 at its relaxed geometry at the PBE level of DFT.

Output
ΔH_f (0 K): -8.69 eV per formula unit
space-group type: R-3

Unit cell a=7.364 b=7.364 c=7.364 alpha=53.64 beta=53.64 gamma=53.64
Element x y z (fractional)
Cl1 0.452 0.712 0.066
Cl2 0.712 0.066 0.452
Cl3 0.934 0.548 0.288
Cl4 0.288 0.934 0.548
Cl5 0.548 0.288 0.934
Cl6 0.066 0.452 0.712
Mn1 0.340 0.340 0.340
Mn2 0.660 0.660 0.660
Na1 0.855 0.855 0.855
Na2 0.145 0.145 0.145
~~~

**To do:**
Now set down the lines earlier on from the one with "(fractional)" to the one with "Cl5 0.548" with every line break kept.

**Solution:**
Element x y z (fractional)
Cl1 0.452 0.712 0.066
Cl2 0.712 0.066 0.452
Cl3 0.934 0.548 0.288
Cl4 0.288 0.934 0.548
Cl5 0.548 0.288 0.934